Source
____________
# 1
# MgNbAl4

An optimized crystal structure of MgNbAl4 (GGA-PBE, Alexandria).

Cell lengths 7.411, 7.411, 7.411 Å; angles 90.00, 90.00, 90.00 degrees
Space group F-43m (No. 216)
Symmetry-distinct sites (fractional):
1 Mg 0.000 0.000 0.000 x4
2 Nb 0.250 0.250 0.750 x4
3 Al 0.125 0.125 0.375 x16

Calculated values
Final energy: -27.4 eV per formula unit
Formation enthalpy at 0 K: -12 kJ/mol of atoms

# 2
# Sc2Cd2Sn

An optimized crystal structure of Sc2Cd2Sn (GGA-PBE, Alexandria).

Cell lengths 7.806, 7.806, 3.985 Å; angles 90.00, 90.00, 90.00 degrees
Space group P4/mbm (No. 127)
Symmetry-distinct sites (fractional):
1 Sc 0.155 0.345 0.000 x4
2 Cd 0.145 0.645 0.500 x4
3 Sn 0.000 0.000 0.000 x2

Calculated values
Final energy: -19.2 eV per formula unit
Formation enthalpy at 0 K: -14 kJ/mol of atoms

# 3
# NaMoPd2

An optimized crystal structure of NaMoPd2 (GGA-PBE, Alexandria).

Cell lengths 7.227, 7.227, 5.757 Å; angles 90.00, 90.00, 90.00 degrees
Space group I-42d (No. 122)
Symmetry-distinct sites (fractional):
1 Na 0.000 0.000 0.000 x4
2 Mo 0.000 0.000 0.500 x4
3 Pd 0.227 0.250 0.625 x8

Calculated values
Final energy: -19.8 eV per formula unit
Formation enthalpy at 0 K: 65 kJ/mol of atoms
Polymorph energy (0 for the lowest one): 605 meV/atom

# 4
# TcOsC3

An optimized crystal structure of TcOsC3 (GGA-PBE, Alexandria).

Cell lengths 3.959, 3.959, 3.959 Å; angles 90.00, 90.00, 90.00 degrees
Space group Pm-3m (No. 221)
Symmetry-distinct sites (fractional):
1 Tc 0.000 0.000 0.000 x1
2 Os 0.500 0.500 0.500 x1
3 C 0.000 0.000 0.500 x3

Calculated values
Final energy: -36.2 eV per formula unit
Formation enthalpy at 0 K: 251 kJ/mol of atoms
Polymorph energy (0 for the lowest one): 409 meV/atom

# 5
# As2SeCl

An optimized crystal structure of As2SeCl (GGA-PBE, Alexandria).

Cell lengths 4.789, 4.789, 6.864 Å; angles 90.00, 90.00, 90.00 degrees
Space group I-4m2 (No. 119)
Symmetry-distinct sites (fractional):
1 As 0.000 0.000 0.000 x2
2 As 0.000 0.500 0.250 x2
3 Se 0.000 0.000 0.500 x2
4 Cl 0.000 0.500 0.750 x2

Calculated values
Final energy: -12.9 eV per formula unit
Uncorrected formation energy: 0.438 eV/atom
Polymorph energy (0 for the lowest one): 570 meV/atom

# 6
# Ac2LaN

An optimized crystal structure of Ac2LaN (GGA-PBE, Alexandria).

Cell lengths 3.7842, 3.7842, 31.4130 Å; angles 90.00, 90.00, 120.00 degrees
Space group R-3m (No. 166, hexagonal axes)
Symmetry-distinct sites (fractional):
1 Ac 0.0000 0.0000 0.1187 x6
2 La 0.0000 0.0000 0.0000 x3
3 N 0.0000 0.0000 0.5000 x3

Calculated values
Final energy: -23.0 eV per formula unit
Uncorrected formation energy: -0.389 eV/atom

# 7
# NiHgBr2

An optimized crystal structure of NiHgBr2 (GGA-PBE, Alexandria).

Cell lengths 7.151, 7.151, 7.151 Å; angles 90.00, 90.00, 90.00 degrees
Space group F-43m (No. 216)
Symmetry-distinct sites (fractional):
1 Ni 0.000 0.000 0.000 x4
2 Hg 0.250 0.250 0.750 x4
3 Br 0.000 0.000 0.500 x4
4 Br 0.250 0.250 0.250 x4

Calculated values
Final energy: -7.0 eV per formula unit
Uncorrected formation energy: 0.601 eV/atom
Polymorph energy (0 for the lowest one): 839 meV/atom

# 8
# K2LaMn

An optimized crystal structure of K2LaMn (GGA-PBE, Alexandria).

Cell lengths 5.416, 5.424, 11.661 Å; angles 90.00, 90.00, 90.00 degrees
Space group Cmm2 (No. 35)
Symmetry-distinct sites (fractional):
1 K 0.000 0.000 0.000 x2
2 K 0.000 0.500 0.349 x2
3 La 0.000 0.500 0.701 x2
4 Mn 0.000 0.000 0.563 x2

Calculated values
Final energy: -14.5 eV per formula unit
Formation enthalpy at 0 K: 42 kJ/mol of atoms
Polymorph energy (0 for the lowest one): 0 meV/atom

# 9
# TaTeSe3

An optimized crystal structure of TaTeSe3 (GGA-PBE, Alexandria).

Cell lengths 5.234, 5.234, 5.234 Å; angles 90.00, 90.00, 90.00 degrees
Space group Pm-3m (No. 221)
Symmetry-distinct sites (fractional):
1 Ta 0.000 0.000 0.000 x1
2 Te 0.500 0.500 0.500 x1
3 Se 0.000 0.500 0.500 x3

Calculated values
Final energy: -19.3 eV per formula unit
Uncorrected formation energy: 1.236 eV/atom
____________
Wanted
Your job: start at the top of the contents further above and reproduce each line, ending with the one that has "5.234 Å;".
Response
# 1
# MgNbAl4

An optimized crystal structure of MgNbAl4 (GGA-PBE, Alexandria).

Cell lengths 7.411, 7.411, 7.411 Å; angles 90.00, 90.00, 90.00 degrees
Space group F-43m (No. 216)
Symmetry-distinct sites (fractional):
1 Mg 0.000 0.000 0.000 x4
2 Nb 0.250 0.250 0.750 x4
3 Al 0.125 0.125 0.375 x16

Calculated values
Final energy: -27.4 eV per formula unit
Formation enthalpy at 0 K: -12 kJ/mol of atoms

# 2
# Sc2Cd2Sn

An optimized crystal structure of Sc2Cd2Sn (GGA-PBE, Alexandria).

Cell lengths 7.806, 7.806, 3.985 Å; angles 90.00, 90.00, 90.00 degrees
Space group P4/mbm (No. 127)
Symmetry-distinct sites (fractional):
1 Sc 0.155 0.345 0.000 x4
2 Cd 0.145 0.645 0.500 x4
3 Sn 0.000 0.000 0.000 x2

Calculated values
Final energy: -19.2 eV per formula unit
Formation enthalpy at 0 K: -14 kJ/mol of atoms

# 3
# NaMoPd2

An optimized crystal structure of NaMoPd2 (GGA-PBE, Alexandria).

Cell lengths 7.227, 7.227, 5.757 Å; angles 90.00, 90.00, 90.00 degrees
Space group I-42d (No. 122)
Symmetry-distinct sites (fractional):
1 Na 0.000 0.000 0.000 x4
2 Mo 0.000 0.000 0.500 x4
3 Pd 0.227 0.250 0.625 x8

Calculated values
Final energy: -19.8 eV per formula unit
Formation enthalpy at 0 K: 65 kJ/mol of atoms
Polymorph energy (0 for the lowest one): 605 meV/atom

# 4
# TcOsC3

An optimized crystal structure of TcOsC3 (GGA-PBE, Alexandria).

Cell lengths 3.959, 3.959, 3.959 Å; angles 90.00, 90.00, 90.00 degrees
Space group Pm-3m (No. 221)
Symmetry-distinct sites (fractional):
1 Tc 0.000 0.000 0.000 x1
2 Os 0.500 0.500 0.500 x1
3 C 0.000 0.000 0.500 x3

Calculated values
Final energy: -36.2 eV per formula unit
Formation enthalpy at 0 K: 251 kJ/mol of atoms
Polymorph energy (0 for the lowest one): 409 meV/atom

# 5
# As2SeCl

An optimized crystal structure of As2SeCl (GGA-PBE, Alexandria).

Cell lengths 4.789, 4.789, 6.864 Å; angles 90.00, 90.00, 90.00 degrees
Space group I-4m2 (No. 119)
Symmetry-distinct sites (fractional):
1 As 0.000 0.000 0.000 x2
2 As 0.000 0.500 0.250 x2
3 Se 0.000 0.000 0.500 x2
4 Cl 0.000 0.500 0.750 x2

Calculated values
Final energy: -12.9 eV per formula unit
Uncorrected formation energy: 0.438 eV/atom
Polymorph energy (0 for the lowest one): 570 meV/atom

# 6
# Ac2LaN

An optimized crystal structure of Ac2LaN (GGA-PBE, Alexandria).

Cell lengths 3.7842, 3.7842, 31.4130 Å; angles 90.00, 90.00, 120.00 degrees
Space group R-3m (No. 166, hexagonal axes)
Symmetry-distinct sites (fractional):
1 Ac 0.0000 0.0000 0.1187 x6
2 La 0.0000 0.0000 0.0000 x3
3 N 0.0000 0.0000 0.5000 x3

Calculated values
Final energy: -23.0 eV per formula unit
Uncorrected formation energy: -0.389 eV/atom

# 7
# NiHgBr2

An optimized crystal structure of NiHgBr2 (GGA-PBE, Alexandria).

Cell lengths 7.151, 7.151, 7.151 Å; angles 90.00, 90.00, 90.00 degrees
Space group F-43m (No. 216)
Symmetry-distinct sites (fractional):
1 Ni 0.000 0.000 0.000 x4
2 Hg 0.250 0.250 0.750 x4
3 Br 0.000 0.000 0.500 x4
4 Br 0.250 0.250 0.250 x4

Calculated values
Final energy: -7.0 eV per formula unit
Uncorrected formation energy: 0.601 eV/atom
Polymorph energy (0 for the lowest one): 839 meV/atom

# 8
# K2LaMn

An optimized crystal structure of K2LaMn (GGA-PBE, Alexandria).

Cell lengths 5.416, 5.424, 11.661 Å; angles 90.00, 90.00, 90.00 degrees
Space group Cmm2 (No. 35)
Symmetry-distinct sites (fractional):
1 K 0.000 0.000 0.000 x2
2 K 0.000 0.500 0.349 x2
3 La 0.000 0.500 0.701 x2
4 Mn 0.000 0.000 0.563 x2

Calculated values
Final energy: -14.5 eV per formula unit
Formation enthalpy at 0 K: 42 kJ/mol of atoms
Polymorph energy (0 for the lowest one): 0 meV/atom

# 9
# TaTeSe3

An optimized crystal structure of TaTeSe3 (GGA-PBE, Alexandria).

Cell lengths 5.234, 5.234, 5.234 Å; angles 90.00, 90.00, 90.00 degrees